To realise your dreams and aspirations you usually need finance and one way to achieve this finance is by saving as part of your financial plan. So whether you want to start an education fund, buy a new car or simply make sure you are getting the best possible rate on your existing savings – Talk to us at Donnellan & Co. today.
As your Financial Advisor we will first assess your savings goal and project the level of savings you need to achieve. We will then recommend a savings plan and the most appropriate product to meet your Savings need. As Independent Financial Advisors we deal with all the major product providers and can advise on their various savings options.
Many people today are starting a family later in life. So unless you want to be still trying to finance your children’s education when you should be looking forward to retirement, it makes sense to start a savings plan today.
[Between two parts of the text: crystal structures]
********
DFT (GGA-PBE) results for a relaxed structure of LaInMo2.

The structure in POSCAR format:
```
LaInMo2
1.0
-1.712 2.510 5.124
1.712 -2.510 5.124
1.712 2.510 -5.124
La In Mo
1 1 2
direct
0.000 0.000 0.000 La
0.714 0.214 0.500 In
0.268 0.768 0.500 Mo
0.446 0.446 0.000 Mo
```

Properties
Theoretical density   8.40 Mg/m³
Final energy   -28.031 eV/cell

DFT (GGA-PBE) results for a relaxed structure of SrRe2Pt.

The structure in POSCAR format:
```
SrRe2Pt
1.0
3.393 0.000 0.000
0.000 3.393 0.000
0.000 0.000 7.250
Sr Re Pt
1 2 1
direct
0.000 0.000 0.000 Sr
0.500 0.500 0.333 Re
0.500 0.500 0.667 Re
0.000 0.000 0.500 Pt
```

Properties
Theoretical density   13.04 Mg/m³
Excess energy over the best structure of this formula in the dataset   523.8 meV per atom

DFT (GGA-PBE) results for a relaxed structure of PmYTc4.

The structure in POSCAR format:
```
PmYTc4
1.0
0.000 3.849 3.849
3.849 0.000 3.849
3.849 3.849 0.000
Pm Y Tc
1 1 4
direct
0.000 0.000 0.000 Pm
0.750 0.750 0.750 Y
0.375 0.375 0.375 Tc
0.375 0.375 0.875 Tc
0.375 0.875 0.375 Tc
0.875 0.375 0.375 Tc
```

Properties
Theoretical density   9.11 Mg/m³
Final energy   -53.017 eV/cell

DFT (GGA-PBE) results for a relaxed structure of Ba3Sn4Pb4.

The structure in POSCAR format:
```
Ba3Sn4Pb4
1.0
-2.644 4.307 8.659
2.644 -4.307 8.659
2.644 4.307 -8.659
Ba Sn Pb
3 4 4
direct
0.000 0.000 0.000 Ba
0.374 0.874 0.500 Ba
0.626 0.126 0.500 Ba
0.210 0.210 0.000 Sn
0.324 0.500 0.824 Sn
0.676 0.500 0.176 Sn
0.790 0.790 0.000 Sn
0.030 0.332 0.697 Pb
0.365 0.668 0.697 Pb
0.635 0.332 0.303 Pb
0.970 0.668 0.303 Pb
```

Properties
Theoretical density   7.22 Mg/m³
Final energy   -41.210 eV/cell

DFT (GGA-PBE) results for a relaxed structure of TcPdI2O.

The structure in POSCAR format:
```
TcPdI2O
1.0
5.655 0.000 0.000
0.000 5.655 0.000
0.000 0.000 3.847
Tc Pd I O
1 1 2 1
direct
0.000 0.000 0.000 Tc
0.500 0.500 0.500 Pd
0.000 0.500 0.500 I
0.500 0.000 0.500 I
0.500 0.500 0.000 O
```

Properties
Theoretical density   6.40 Mg/m³
Excess energy over the best structure of this formula in the dataset   691.1 meV per atom
Raw formation energy   0.67 eV per atom

DFT (GGA-PBE) results for a relaxed structure of CaMnIr2.

The structure in POSCAR format:
```
CaMnIr2
1.0
4.489 -1.456 0.000
4.489 1.456 0.000
-1.133 0.000 5.349
Ca Mn Ir
1 1 2
direct
0.000 0.000 0.000 Ca
0.500 0.500 0.500 Mn
0.235 0.235 0.691 Ir
0.765 0.765 0.309 Ir
```

Properties
Theoretical density   11.39 Mg/m³
Excess energy over the best structure of this formula in the dataset   200.8 meV per atom

=====

# BeHgPd2, relaxed, DFT PBE
# DOS(E_F), states/eV/cell: 2.6
# Magnetic moment, μB/f.u.: 0.0
# Energy relative to the elements, eV/f.u.: -1.06
data_BeHgPd2
_symmetry_space_group_name_H-M 'R 3 m'
_symmetry_Int_Tables_number 160
_symmetry_space_group_name_Hall 'R 3 -2"'
_cell_length_a 3.0878
_cell_length_b 3.0878
_cell_length_c 22.4315
_cell_angle_alpha 90.00
_cell_angle_beta 90.00
_cell_angle_gamma 120.00
loop_
_atom_site_label
_atom_site_type_symbol
********
Although you may not have to pay hefty third level fees today nobody knows what changes future Governments may make. Apart from third level fees the cost of going to college is very significant. For one student living away from home, costs of at least €800 per month are not unrealistic. Not including registration fees this amounts to approx. €28,800 over a four year period.
If you can afford to put the Child Benefit of €150 per month over 18 years into a savings account, invested to achieve a modest growth of 3%, the resultant investment fund would be €42,891. The same savings amount of €150 per month again over an 18 year period assuming no growth would amount to €32,400.
At Donnellan & Co. we are here to help you make the right investment choice in line with your life stage, goals and objectives. As Independent Financial Advisors we offer unbiased advice and take the hard work out of reading the fine print and understanding what seem like a myriad of charges, terms and conditions. We work with all major investment product providers.
There is no doubt that the world of investment products is complex. Also many people have had a bad experience of investments in recent times. However investments are vital to preserve and grow the value of your accumulated capital. If you have a lump sum and it is in a deposit account not earning any deposit interest, or earning very little its real value will decrease overtime due to inflation.
## What comes next are records of crystals, not part of the article
********
VASP calculation (PBE) on La3PmTl after structural relaxation.

Summary:
Spin magnetization = 0.00 μB per cell
E_form = -0.4 eV per formula unit
SG = No. 44
E above lowest polymorph = 77 meV per atom

Lattice parameters (Å, degrees): 6.4512 6.4512 6.4512 132.19 84.66 114.93
Last column: nearest neighbours and their distance in Å.
Positions (direct):
La 0.0000 0.0000 0.0000  1 Tl 3.18, 2 Pm 3.26, 2 La 3.45
La 0.5754 0.2742 0.3013  3 Tl 3.42-3.61, 4 La 3.45-3.79
La 0.9729 0.2742 0.6987  3 Tl 3.42-3.61, 4 La 3.45-3.79
Pm 0.2798 0.7798 0.5000  2 Tl 3.19, 2 La 3.26
Tl 0.5424 0.5424 0.0000  3 La 3.18-3.42, 2 Pm 3.19

---

VASP calculation (PBE) on SbPbSe2 after structural relaxation.

Summary:
Spin magnetization = 0.00 μB per cell
Formation energy from raw total energies = -269 meV per atom
SG = No. 99

Lattice parameters (Å, degrees): 4.3095 4.3095 6.1695 90.00 90.00 90.00
Last column: nearest neighbours and their distance in Å.
Positions (direct):
Sb 0.0000 0.0000 0.0000  5 Se 2.88-3.05
Pb 0.5000 0.5000 0.4959  6 Se 3.05-3.10
Se 0.0000 0.0000 0.4666  1 Sb 2.88, 4 Pb 3.05
Se 0.5000 0.5000 0.9935  4 Sb 3.05, 2 Pb 3.07-3.10

---

VASP calculation (PBE) on NaGdHoHg after structural relaxation.

Summary:
Spin magnetization = 7.88 μB per cell
E_form = -0.2 eV per formula unit
SG = No. 216

Lattice parameters (Å, degrees): 5.3543 5.3543 5.3543 60.00 60.00 60.00
Last column: nearest neighbours and their distance in Å.
Positions (direct):
Na 0.0000 0.0000 0.0000  4 Gd 3.28, 4 Ho 3.28
Gd 0.7500 0.7500 0.7500  4 Hg 3.28, 4 Na 3.28
Ho 0.2500 0.2500 0.2500  4 Hg 3.28, 4 Na 3.28
Hg 0.5000 0.5000 0.5000  4 Gd 3.28, 4 Ho 3.28

---

VASP calculation (PBE) on Sc3AlO after structural relaxation.

Summary:
Spin magnetization = 0.00 μB per cell
Formation energy from raw total energies = -1245 meV per atom
SG = No. 62

Lattice parameters (Å, degrees): 5.1954 12.4271 6.0853 90.00 90.00 90.00
Last column: nearest neighbours and their distance in Å.
Positions (direct):
Sc 0.0023 0.1191 0.0915  1 O 2.07
Sc 0.0023 0.3809 0.0915  1 O 2.07
Sc 0.0201 0.7500 0.4412  2 O 2.06-2.14
Sc 0.4799 0.2500 0.9412  2 O 2.06-2.14
Sc 0.4977 0.6191 0.5915  1 O 2.07
Sc 0.4977 0.8809 0.5915  1 O 2.07
Sc 0.5023 0.1191 0.4085  1 O 2.07
Sc 0.5023 0.3809 0.4085  1 O 2.07
Sc 0.5201 0.7500 0.0588  2 O 2.06-2.14
Sc 0.9799 0.2500 0.5588  2 O 2.06-2.14
Sc 0.9977 0.6191 0.9085  1 O 2.07
Sc 0.9977 0.8809 0.9085  1 O 2.07
Al 0.0000 0.0000 0.5000  8 Sc 2.89-3.13
Al 0.0000 0.5000 0.5000  8 Sc 2.89-3.13
Al 0.5000 0.0000 0.0000  8 Sc 2.89-3.13
Al 0.5000 0.5000 0.0000  8 Sc 2.89-3.13
O 0.0721 0.2500 0.8886  4 Sc 2.06-2.14
O 0.4279 0.7500 0.3886  4 Sc 2.06-2.14
O 0.5721 0.2500 0.6114  4 Sc 2.06-2.14
O 0.9279 0.7500 0.1114  4 Sc 2.06-2.14

---

VASP calculation (PBE) on P2S2N after structural relaxation.

Summary:
Spin magnetization = 1.40 μB per cell
Formation energy from raw total energies = 1989 meV per atom
SG = No. 123
E above lowest polymorph = 709 meV per atom
********
The first step we take is to understand your investment objectives. Together we can then establish your attitude to risk, the desired term of your investment, your desired level of access to funds, other investments if any and your overall financial position. With this information and our knowledge of the investment market place, we develop an Investment strategy that matches your investment objectives. This is usually done as part of the overall financial planning process, but this service can be provided for once off investors with lump sums also.
Advanced Financial Planning Limited t/a Donnellan & Co is regulated by the Central Bank of Ireland.